[Given]
+++
*P*
{
  "formula": "C2H5NO",
  "method": "wB97M-V/def2-TZVPD",
  "symbols": ["C", "C", "N", "O", "H", "H", "H", "H", "H"],
  "coordinates": [[1.002, -0.562, -0.396], [-1.793, 0.299, -0.293], [1.419, 0.018, 0.674], [1.211, -1.455, -1.146], [-2.055, -0.090, 0.659], [-1.308, 1.284, -0.433], [-1.714, -0.306, -1.169], [0.846, 0.749, 1.129], [2.391, 0.064, 0.977]],
  "e_lumo_ev": [0.348, 0.420],
  "homo_ha": [-0.31403, -0.27019],
  "gap_ha": [0.3268, 0.2856]
}

---

*Q*
{
  "formula": "C2H5NO",
  "method": "wB97M-V/def2-TZVPD",
  "symbols": ["C", "N", "C", "O", "H", "H", "H", "H", "H"],
  "coordinates": [[1.112, 0.063, 0.111], [-0.239, 0.222, -0.704], [-1.405, -0.337, -0.083], [-1.426, -0.863, 1.004], [0.973, -0.783, 0.760], [1.905, -0.042, -0.636], [1.418, 0.932, 0.757], [-0.027, 1.165, -0.470], [-2.311, -0.357, -0.739]],
  "e_lumo_ev": 0.985,
  "smiles": "CNC=O",
  "homo_ha": -0.37130,
  "gap_ha": 0.4075
}

---

Last place for stability: *P*

---

*P*
{
  "formula": "C5H14NO4",
  "method": "wB97M-V/def2-TZVPD",
  "symbols": ["O", "C", "O", "C", "C", "C", "C", "N", "H", "H", "H", "H", "H", "H", "H", "H", "H", "H", "H", "H", "O", "H", "H", "O"],
  "coordinates": [[-2.775, 0.092, 1.793], [-2.004, -0.492, 1.051], [-1.358, -1.556, 1.339], [-1.840, 0.055, -0.427], [-0.930, 1.256, -0.292], [0.324, 1.213, 0.622], [1.088, -0.077, 0.430], [1.506, -0.118, -1.029], [-1.406, -0.672, -1.103], [-2.830, 0.272, -0.941], [-0.435, 1.433, -1.329], [-1.597, 2.071, 0.068], [-0.021, 1.305, 1.674], [1.022, 2.187, 0.553], [0.500, -0.954, 0.600], [1.832, -0.159, 1.235], [0.612, -0.162, -1.629], [2.103, -0.958, -1.201], [-2.153, -3.721, -0.220], [-1.093, -2.774, 0.162], [-1.228, -3.601, -0.172], [3.405, 1.394, 0.275], [3.602, 1.819, -1.192], [3.675, 2.149, -0.267]],
  "e_lumo_ev": 3.536,
  "homo_ha": -0.17337,
  "total_charge": -1,
  "gap_ha": 0.3033
}

---

*Q*
{
  "formula": "C5H14NO4",
  "method": "wB97M-V/def2-TZVPD",
  "symbols": ["C", "C", "C", "C", "N", "C", "O", "O", "H", "H", "H", "H", "H", "H", "H", "H", "H", "H", "H", "H", "O", "H", "H", "O"],
  "coordinates": [[1.227, 0.656, 2.448], [0.190, -0.393, 2.062], [0.650, -1.808, 1.748], [1.485, -1.901, 0.461], [-0.809, 0.091, 1.125], [-0.508, 0.801, -0.070], [-1.396, 0.712, -0.956], [0.603, 1.369, -0.151], [1.416, 0.627, 3.519], [0.761, 1.627, 2.271], [2.180, 0.609, 1.920], [-0.380, -0.535, 2.992], [-0.254, -2.392, 1.603], [1.145, -2.261, 2.601], [2.551, -2.104, 0.598], [1.406, -0.963, -0.091], [1.140, -2.667, -0.225], [-1.546, -0.555, 0.882], [0.666, 0.800, -2.857], [1.354, 1.481, -1.754], [1.473, 1.312, -2.718], [-2.438, -1.420, -2.862], [-2.867, -0.100, -2.222], [-3.209, -0.869, -2.708]],
  "e_lumo_ev": 3.612,
  "homo_ha": -0.18707,
  "total_charge": -1,
  "gap_ha": 0.3198
}

---

Last place for stability: *P*

---

*P*
{
  "formula": "C3H9NOS",
  "method": "wB97M-V/def2-TZVPD",
  "symbols": ["N", "C", "C", "O", "C", "S", "H", "H", "H", "H", "H", "H", "H", "H", "H"],
  "coordinates": [[-1.113, -0.558, -0.946], [0.146, -0.108, -0.376], [0.966, 0.761, -1.325], [1.407, -0.071, -2.392], [-0.156, 0.653, 0.929], [-0.664, -0.378, 2.290], [-1.680, 0.228, -1.236], [-0.958, -1.168, -1.735], [0.720, -0.998, -0.117], [0.315, 1.552, -1.716], [1.835, 1.192, -0.803], [1.683, 0.494, -3.131], [0.729, 1.194, 1.272], [-0.908, 1.414, 0.704], [-1.840, -0.769, 1.785]],
  "e_lumo_ev": 0.777,
  "smiles": "N[C@@H](CO)CS",
  "homo_ha": -0.32666,
  "gap_ha": 0.3552
}

---

*Q*
{
  "formula": "C3H9NOS",
  "method": "wB97M-V/def2-TZVPD",
  "symbols": ["N", "C", "O", "H", "H", "H", "C", "S", "C", "H", "H", "H", "H", "H", "H"],
  "coordinates": [[0.896, -2.275, 2.314], [1.317, -2.194, 0.998], [0.477, -1.904, 0.146], [1.521, -2.647, 3.024], [-0.092, -2.302, 2.396], [2.258, -2.737, 0.891], [-2.037, 1.258, -1.742], [-1.243, 1.959, -0.180], [0.512, 1.764, -0.445], [-3.084, 1.122, -1.496], [-1.951, 2.346, -2.301], [-1.196, 0.610, -2.174], [0.614, 1.412, -1.395], [0.834, 0.937, 0.161], [1.174, 2.650, -0.199]],
  "e_lumo_ev": 0.860,
+++

[To do]
Duplicate the material above character by character, please.

[Completed]
*P*
{
  "formula": "C2H5NO",
  "method": "wB97M-V/def2-TZVPD",
  "symbols": ["C", "C", "N", "O", "H", "H", "H", "H", "H"],
  "coordinates": [[1.002, -0.562, -0.396], [-1.793, 0.299, -0.293], [1.419, 0.018, 0.674], [1.211, -1.455, -1.146], [-2.055, -0.090, 0.659], [-1.308, 1.284, -0.433], [-1.714, -0.306, -1.169], [0.846, 0.749, 1.129], [2.391, 0.064, 0.977]],
  "e_lumo_ev": [0.348, 0.420],
  "homo_ha": [-0.31403, -0.27019],
  "gap_ha": [0.3268, 0.2856]
}

---

*Q*
{
  "formula": "C2H5NO",
  "method": "wB97M-V/def2-TZVPD",
  "symbols": ["C", "N", "C", "O", "H", "H", "H", "H", "H"],
  "coordinates": [[1.112, 0.063, 0.111], [-0.239, 0.222, -0.704], [-1.405, -0.337, -0.083], [-1.426, -0.863, 1.004], [0.973, -0.783, 0.760], [1.905, -0.042, -0.636], [1.418, 0.932, 0.757], [-0.027, 1.165, -0.470], [-2.311, -0.357, -0.739]],
  "e_lumo_ev": 0.985,
  "smiles": "CNC=O",
  "homo_ha": -0.37130,
  "gap_ha": 0.4075
}

---

Last place for stability: *P*

---

*P*
{
  "formula": "C5H14NO4",
  "method": "wB97M-V/def2-TZVPD",
  "symbols": ["O", "C", "O", "C", "C", "C", "C", "N", "H", "H", "H", "H", "H", "H", "H", "H", "H", "H", "H", "H", "O", "H", "H", "O"],
  "coordinates": [[-2.775, 0.092, 1.793], [-2.004, -0.492, 1.051], [-1.358, -1.556, 1.339], [-1.840, 0.055, -0.427], [-0.930, 1.256, -0.292], [0.324, 1.213, 0.622], [1.088, -0.077, 0.430], [1.506, -0.118, -1.029], [-1.406, -0.672, -1.103], [-2.830, 0.272, -0.941], [-0.435, 1.433, -1.329], [-1.597, 2.071, 0.068], [-0.021, 1.305, 1.674], [1.022, 2.187, 0.553], [0.500, -0.954, 0.600], [1.832, -0.159, 1.235], [0.612, -0.162, -1.629], [2.103, -0.958, -1.201], [-2.153, -3.721, -0.220], [-1.093, -2.774, 0.162], [-1.228, -3.601, -0.172], [3.405, 1.394, 0.275], [3.602, 1.819, -1.192], [3.675, 2.149, -0.267]],
  "e_lumo_ev": 3.536,
  "homo_ha": -0.17337,
  "total_charge": -1,
  "gap_ha": 0.3033
}

---

*Q*
{
  "formula": "C5H14NO4",
  "method": "wB97M-V/def2-TZVPD",
  "symbols": ["C", "C", "C", "C", "N", "C", "O", "O", "H", "H", "H", "H", "H", "H", "H", "H", "H", "H", "H", "H", "O", "H", "H", "O"],
  "coordinates": [[1.227, 0.656, 2.448], [0.190, -0.393, 2.062], [0.650, -1.808, 1.748], [1.485, -1.901, 0.461], [-0.809, 0.091, 1.125], [-0.508, 0.801, -0.070], [-1.396, 0.712, -0.956], [0.603, 1.369, -0.151], [1.416, 0.627, 3.519], [0.761, 1.627, 2.271], [2.180, 0.609, 1.920], [-0.380, -0.535, 2.992], [-0.254, -2.392, 1.603], [1.145, -2.261, 2.601], [2.551, -2.104, 0.598], [1.406, -0.963, -0.091], [1.140, -2.667, -0.225], [-1.546, -0.555, 0.882], [0.666, 0.800, -2.857], [1.354, 1.481, -1.754], [1.473, 1.312, -2.718], [-2.438, -1.420, -2.862], [-2.867, -0.100, -2.222], [-3.209, -0.869, -2.708]],
  "e_lumo_ev": 3.612,
  "homo_ha": -0.18707,
  "total_charge": -1,
  "gap_ha": 0.3198
}

---

Last place for stability: *P*

---

*P*
{
  "formula": "C3H9NOS",
  "method": "wB97M-V/def2-TZVPD",
  "symbols": ["N", "C", "C", "O", "C", "S", "H", "H", "H", "H", "H", "H", "H", "H", "H"],
  "coordinates": [[-1.113, -0.558, -0.946], [0.146, -0.108, -0.376], [0.966, 0.761, -1.325], [1.407, -0.071, -2.392], [-0.156, 0.653, 0.929], [-0.664, -0.378, 2.290], [-1.680, 0.228, -1.236], [-0.958, -1.168, -1.735], [0.720, -0.998, -0.117], [0.315, 1.552, -1.716], [1.835, 1.192, -0.803], [1.683, 0.494, -3.131], [0.729, 1.194, 1.272], [-0.908, 1.414, 0.704], [-1.840, -0.769, 1.785]],
  "e_lumo_ev": 0.777,
  "smiles": "N[C@@H](CO)CS",
  "homo_ha": -0.32666,
  "gap_ha": 0.3552
}

---

*Q*
{
  "formula": "C3H9NOS",
  "method": "wB97M-V/def2-TZVPD",
  "symbols": ["N", "C", "O", "H", "H", "H", "C", "S", "C", "H", "H", "H", "H", "H", "H"],
  "coordinates": [[0.896, -2.275, 2.314], [1.317, -2.194, 0.998], [0.477, -1.904, 0.146], [1.521, -2.647, 3.024], [-0.092, -2.302, 2.396], [2.258, -2.737, 0.891], [-2.037, 1.258, -1.742], [-1.243, 1.959, -0.180], [0.512, 1.764, -0.445], [-3.084, 1.122, -1.496], [-1.951, 2.346, -2.301], [-1.196, 0.610, -2.174], [0.614, 1.412, -1.395], [0.834, 0.937, 0.161], [1.174, 2.650, -0.199]],
  "e_lumo_ev": 0.860,